1.3 / April 27, 2017
(4.2/5) (440)


Cheap flights from hundreds of airlines andtravel agents globally.

The Cheapflights app helps you search, compare and book

Millions of people find cheap tickets with us every year. on lastminute flights, domestic flights, international flights, cheapairline tickets and low-cost airfare, the cheapest flights anddeals are just a download away.

Our flight comparison service is simple and completely free to use.All you need to do is search, filter and book your flights. We willthen send you directly to the airline or travel agent to book yourplane tickets without any hidden fees.

✓ Search and compare cheap flights to your destination forfree
✓ Find the cheapest days to fly with our interactive Price Calendarand Chart View
✓ Find just what you’re looking for by searching for flights bycity or airport
✓ See just the flights that fit your price range, airport,airlines, number of stops, take-off and landing times
✓ Filter results by the cheapest flight, the quickest flight or ahappy balance between the two
✓ Save flights from your search results to compare and booklater
✓ Log in to apply your flight search criteria across all yourdevices for a seamless experience
✓ Take a look at checked baggage and seat reservation fees soyou’re always prepared before booking
✓ Stay up-to-date on maximum carry-on or hand-luggage sizes andweights to avoid extra baggage costs
✓ See a snapshot of your selected flight dates and times so you canreview before booking
✓ When you’ve found your perfect flight tickets, we will send youdirectly to the airline or travel agent to book

Find cheap flight tickets to Jakarta, Singapore, Kuala Lumpur, HongKong, Bangkok and other countries around the world with our hugeselection of cheap tickets from low-cost and full-service airlines:AirAsia, Jetstar, Tigerair, Lion Air, Citilink, Firefly, Nok Air,Singapore Airlines, Malaysia Airlines, Cathay Pacific, GarudaIndonesia, Emirates, Thai Airways, Lufthansa, KLM, Air France,Etihad Airways, traveloka, nusatrip,wego, agoda, booking.com andmany more.

For hotel booking, get amazing hotel deals on hand-selected hotelsfrom cheap to 5 star luxury hotels in major destinations includingSingapore, Malaysia, Bangkok, Japan: Hilton, Red Planet Hotel,Ibis, Novotel, Aston, Best Western, Fragrance Hotel, Marriott,Santika, Millennium & Copthorne, etc.

Fly with the best. Fly with us!
Find cheap flights and hotels with us now.

### Here the entry breaks off for materials data
┌──
[1]
Starting from a cell relaxed with GGA-PBE, the powder X-ray diffraction pattern of Tl6Cd was calculated for Cu Ka.
Intensities are scaled so that the largest is 100.

Cell and atoms:
Lattice parameters (Å, degrees): 4.825 4.825 9.532 90.00 90.00 90.00
Space group P4/mmm (No. 123)
Unique sites:
Tl  0.000  0.000  0.000 (multiplicity 1)
Tl  0.000  0.500  0.246 (multiplicity 4)
Tl  0.500  0.500  0.500 (multiplicity 1)
Cd  0.000  0.000  0.500 (multiplicity 1)

Main lines, by angle (2θ = 15–90°):
| d/Å | 2θ (°) | intensity | h k l |
| --- | --- | --- | --- |
| 4.305 | 20.63 | 14 | 1 0 1 |
| 2.774 | 32.27 | 100 | 1 1 2 |
| 2.412 | 37.27 | 34 | 2 0 0 |
| 2.383 | 37.75 | 16 | 0 0 4 |
| 1.695 | 54.09 | 24 | 2 0 4 |
| 1.453 | 64.08 | 28 | 3 1 2 |
| 1.440 | 64.73 | 14 | 1 1 6 |
| 1.387 | 67.53 | 12 | 2 2 4 |


[2]
Starting from a cell relaxed with GGA-PBE, the powder X-ray diffraction pattern of Tl7Cd2 was calculated for Cu Ka.
Intensities are scaled so that the largest is 100.

Cell and atoms:
Lattice parameters (Å, degrees): 5.9363 5.9363 8.6099 90.00 90.00 120.00
Space group P-31m (No. 162)
Unique sites:
Tl  0.0000  0.0000  0.0000 (multiplicity 1)
Tl  0.0000  0.3380  0.6752 (multiplicity 6)
Cd  0.3333  0.6667  0.0000 (multiplicity 2)

Main lines, by angle (2θ = 15–90°):
| d/Å | 2θ (°) | intensity | h k l |
| --- | --- | --- | --- |
| 2.870 | 31.16 | 34 | 0 0 3 |
| 2.806 | 31.89 | 100 | 1 1 1 |
| 2.444 | 36.78 | 67 | 2 -1 2 |
| 1.743 | 52.52 | 25 | 1 1 4 |
| 1.714 | 53.47 | 23 | 3 0 0 |
| 1.489 | 62.34 | 14 | 2 -1 5 |
| 1.471 | 63.20 | 28 | 3 0 3 |
| 1.463 | 63.62 | 14 | 4 -2 1 |


[3]
Starting from a cell relaxed with GGA-PBE, the powder X-ray diffraction pattern of TlCd3 was calculated for Cu Ka.
Intensities are scaled so that the largest is 100.

Cell and atoms:
Lattice parameters (Å, degrees): 10.554 3.214 6.121 90.00 103.97 90.00
Space group C2/m (No. 12)
Unique sites:
Tl  0.000  0.000  0.000 (multiplicity 2)
Cd  0.000  0.500  0.500 (multiplicity 2)
Cd  0.243  0.000  0.731 (multiplicity 4)

Main lines, by angle (2θ = 15–90°):
| d/Å | 2θ (°) | intensity | h k l |
| --- | --- | --- | --- |
| 2.890 | 30.94 | 64 | 2 0 -2 |
| 2.648 | 33.85 | 100 | 1 1 1 |
| 2.561 | 35.04 | 45 | 4 0 0 |
| 2.336 | 38.54 | 34 | 2 0 2 |
| 2.312 | 38.96 | 69 | 3 1 -1 |
| 1.721 | 53.22 | 26 | 1 1 -3 |
| 1.575 | 58.61 | 19 | 5 1 1 |
| 1.457 | 63.89 | 15 | 5 1 -3 |


[4]
Starting from a cell relaxed with GGA-PBE, the powder X-ray diffraction pattern of Tm6TlCd3 was calculated for Cu Ka.
Intensities are scaled so that the largest is 100.

Cell and atoms:
Lattice parameters (Å, degrees): 9.272 5.215 11.463 90.00 106.60 90.00
Space group P2_1/m (No. 11)
Unique sites:
Tm  0.040  0.250  0.410 (multiplicity 2)
Tm  0.150  0.750  0.178 (multiplicity 2)
Tm  0.249  0.250  0.000 (multiplicity 2)
Tm  0.334  0.750  0.805 (multiplicity 2)
Tm  0.368  0.250  0.327 (multiplicity 2)
Tm  0.394  0.250  0.615 (multiplicity 2)
Tl  0.451  0.750  0.110 (multiplicity 2)
└──

Search, compare and book flights with the award-winning Skyscannerflight comparison app!

Search millions of flights from hundreds of airlines instantly forfree, making it easier than ever to find the best airfare.

Looking for Cheap Flights Ticket for Malaysia? Search nomore!
This app provide easy access to all top airlines flights Malaysia.Domestic and international flights bookings. Search for low-fareand cheap tickets for your dream destination.

* Search and book flights directly from;
-Malaysia Airlines (MAS)
-Rayani Air
-Malindo Air

*Check flight status.

App Information Cheap Flights Booking Travel

  • App Name
    Cheap Flights Booking Travel
  • Package Name
  • Updated
    April 27, 2017
  • File Size
  • Requires Android
    Android 4.1 and up
  • Version
  • Developer
    cheap hotel & cheap plane / flights
  • Installs
    100,000 - 500,000
  • Price
  • Category
    Travel & Local
  • Developer
  • Google Play Link

-- Records of crystals, as found in the file --
-- begin --
1.
Simulated PXRD pattern of Hf2Ti5In3 for Cu Kα (weighted mean of Kα1 and Kα2), from a structure optimized by DFT (GGA-PBE).
Intensities are scaled so that the largest is 100.

Cell and atoms:
```
Hf2Ti5In3
1.0
-5.476 6.984 2.683
5.476 -6.984 2.683
5.476 6.984 -2.683
Hf Ti In
4 10 6
Cartesian
0.980 2.730 0.000
6.456 4.254 0.000
-0.980 2.730 2.683
4.496 4.254 2.683
8.950 2.063 0.000
2.806 0.000 1.342
5.476 0.000 1.342
8.146 0.000 1.342
3.474 4.921 0.000
2.002 2.063 2.683
-2.670 6.984 1.342
0.000 6.984 1.342
2.670 6.984 1.342
-3.474 4.921 2.683
4.058 2.246 0.000
0.000 0.000 1.342
4.058 -2.246 2.683
1.418 9.229 0.000
0.000 0.000 4.025
1.418 4.738 2.683
```

Peak list (10 most intense, 2θ from 10° to 80°, low angle first)
2θ/deg, I/Imax
10.26, 44.3
22.42, 52.7
31.64, 46.7
32.31, 89.8
35.21, 68.7
35.85, 100.0
37.43, 51.5
38.68, 48.5
39.46, 79.9
47.44, 53.1

2.
Simulated PXRD pattern of Ti3O8 for Cu Kα (weighted mean of Kα1 and Kα2), from a structure optimized by DFT (GGA-PBE).
Intensities are scaled so that the largest is 100.

Cell and atoms:
```
Ti3O8
1.0
3.785 0.000 0.000
0.000 3.785 0.000
0.000 0.000 9.323
Ti O
3 8
Cartesian
0.000 0.000 0.000
0.000 1.893 6.816
1.893 0.000 2.507
0.000 0.000 2.027
0.000 0.000 7.296
0.000 1.893 4.867
0.000 1.893 8.916
1.893 0.000 0.407
1.893 0.000 4.455
1.893 1.893 2.777
1.893 1.893 6.546
```

Peak list (10 most intense, 2θ from 10° to 80°, low angle first)
2θ/deg, I/Imax
23.50, 8.6
25.39, 100.0
34.87, 8.3
38.63, 20.9
48.07, 34.1
54.89, 16.5
55.14, 18.6
63.30, 15.1
70.34, 8.5
75.92, 10.3

----------

This entry pairs a crystal structure of Ca2CoSbO6 with its computed powder XRD pattern. Radiation: Cu Kα, 1.54184 Å. Structure: the PBE+U geometry in Alexandria.
Lines closer than 0.1° are merged.

Principal peaks in the range 2θ = 15–90°, in order of rising 2θ:
hkl	2θ/deg	I_rel
0 0 2	22.63	33
1 1 -1	22.82	71
0 2 0	31.96	48
1 1 1	32.22	100
1 1 -3	32.50	97
2 0 -2	33.01	43
0 0 4	46.21	33
2 2 -2	46.61	59
0 2 4	57.30	39
3 1 -1	58.29	35

Structural model:
Lattice parameters (Å, degrees): 5.427 5.600 9.497 90.00 124.17 90.00
Fractional coordinates of all 20 atoms:
Ca: 0.235 0.052 0.249
Ca: 0.235 0.448 0.749
Ca: 0.765 0.552 0.251
Ca: 0.765 0.948 0.751
Co: 0.000 0.000 0.500
Co: 0.000 0.500 0.000
Sb: 0.500 0.000 0.000
Sb: 0.500 0.500 0.500
O: 0.156 0.202 0.950
O: 0.156 0.298 0.450
O: 0.244 0.703 0.952
O: 0.244 0.797 0.452
O: 0.348 0.030 0.754
O: 0.348 0.470 0.254
O: 0.652 0.530 0.746
O: 0.652 0.970 0.246
O: 0.756 0.203 0.548
O: 0.756 0.297 0.048
O: 0.844 0.702 0.550
O: 0.844 0.798 0.050

----------

# Ca3Si4Sn2O14
Computed X-ray diffraction stick pattern, Cu Kα X-rays. Input: a cell relaxed with PBE.
Intensities are scaled so that the largest is 100.

Cell and atoms:
a b c (Å): 9.0771 9.0771 11.5470
angles (deg): 117.37 117.37 49.00
Sites, in units of the cell vectors:
Ca (0.1835, 0.8165, 0.7500)
Ca (0.2468, 0.2829, 0.4964)
Ca (0.2829, 0.2468, 0.9964)
Ca (0.7171, 0.7532, 0.0036)
Ca (0.7532, 0.7171, 0.5036)
-- stop --
-- Back to the page --

cheap hotel & cheap plane / flights Show More...

Cheap Flights Booking Travel 1.3 APK
Cheap flights from hundreds of airlines andtravel agents globally.The Cheapflights app helps you search, compare and bookMillions of people find cheap tickets with us every year. on lastminute flights, domestic flights, international flights, cheapairline tickets and low-cost airfare, the cheapest flights anddeals are just a download away.Our flight comparison service is simple and completely free to use.All you need to do is search, filter and book your flights. We willthen send you directly to the airline or travel agent to book yourplane tickets without any hidden fees.✓ Search and compare cheap flights to your destination forfree✓ Find the cheapest days to fly with our interactive Price Calendarand Chart View✓ Find just what you’re looking for by searching for flights bycity or airport✓ See just the flights that fit your price range, airport,airlines, number of stops, take-off and landing times✓ Filter results by the cheapest flight, the quickest flight or ahappy balance between the two✓ Save flights from your search results to compare and booklater✓ Log in to apply your flight search criteria across all yourdevices for a seamless experience✓ Take a look at checked baggage and seat reservation fees soyou’re always prepared before booking✓ Stay up-to-date on maximum carry-on or hand-luggage sizes andweights to avoid extra baggage costs✓ See a snapshot of your selected flight dates and times so you canreview before booking✓ When you’ve found your perfect flight tickets, we will send youdirectly to the airline or travel agent to bookFind cheap flight tickets to Jakarta, Singapore, Kuala Lumpur, HongKong, Bangkok and other countries around the world with our hugeselection of cheap tickets from low-cost and full-service airlines:AirAsia, Jetstar, Tigerair, Lion Air, Citilink, Firefly, Nok Air,Singapore Airlines, Malaysia Airlines, Cathay Pacific, GarudaIndonesia, Emirates, Thai Airways, Lufthansa, KLM, Air France,Etihad Airways, traveloka, nusatrip,wego, agoda, booking.com andmany more.For hotel booking, get amazing hotel deals on hand-selected hotelsfrom cheap to 5 star luxury hotels in major destinations includingSingapore, Malaysia, Bangkok, Japan: Hilton, Red Planet Hotel,Ibis, Novotel, Aston, Best Western, Fragrance Hotel, Marriott,Santika, Millennium & Copthorne, etc.Fly with the best. Fly with us!Find cheap flights and hotels with us now.Search, compare and book flights with the award-winning Skyscannerflight comparison app!Search millions of flights from hundreds of airlines instantly forfree, making it easier than ever to find the best airfare.Looking for Cheap Flights Ticket for Malaysia? Search nomore!This app provide easy access to all top airlines flights Malaysia.Domestic and international flights bookings. Search for low-fareand cheap tickets for your dream destination.Features:* Search and book flights directly from;-AirAsia-Malaysia Airlines (MAS)-Rayani Air-Malindo Air-Firefly*Check flight status.